Reviews from

in the past

"I am trained in gorilla warfare...I will wipe you the fuck out with precision the likes of which has never been seen before on this Earth, mark my fucking words."

-a Super Monkey Ball 2 veteran

- - -
The following is a simulated powder diffraction line list of Rb2FeF7. It was derived from the GGA+U geometry in Alexandria, using CuKα.
No peak broadening, texture or thermal motion is included.

Principal peaks in the range 15° ≤ 2θ ≤ 90°, in order of rising 2θ:
17.54 deg, 5.057 Å, rel. 33
28.13 deg, 3.173 Å, rel. 57
29.18 deg, 3.061 Å, rel. 100
35.50 deg, 2.529 Å, rel. 49
40.20 deg, 2.243 Å, rel. 51
43.22 deg, 2.093 Å, rel. 22
50.43 deg, 1.809 Å, rel. 35
60.49 deg, 1.530 Å, rel. 26

Atomic structure:
```
10
Lattice="-3.173 3.173 4.186 3.173 -3.173 4.186 3.173 3.173 -4.186" Properties=species:S:1:pos:R:3 pbc="T T T"
Rb 3.173 0.000 2.093
Rb 0.000 3.173 2.093
Fe 0.000 0.000 0.000
F 1.308 1.308 0.000
F 1.865 -1.865 4.186
F 0.000 0.000 1.922
F 0.000 0.000 4.186
F 0.000 0.000 6.450
F -1.865 1.865 4.186
F 1.865 1.865 4.186
```

* * * * *

# 1
For ZnH4C2N4Cl2, the GGA-PBE geometry in the Materials Project gives the simulated powder diffraction line list in this record (Cu Kα (λ = 1.5418 Å)).

Largest 10 diffraction maxima, by angle, 2θ from 10° to 90°:
hkl 2 0 0, 2θ 12.7, intensity 10; hkl 2 0 1, 2θ 17.0, intensity 18; hkl 1 1 1, 2θ 17.6, intensity 100; hkl 0 0 2, 2θ 22.6, intensity 22; hkl 0 1 2, 2θ 25.7, intensity 15; hkl 4 0 1, 2θ 28.0, intensity 26; hkl 3 1 2, 2θ 32.2, intensity 10; hkl 0 2 2, 2θ 33.2, intensity 12; hkl 0 3 0, 2θ 36.3, intensity 11; hkl 5 1 2, 2θ 41.5, intensity 9

Atomic structure:
Cell: 13.942 7.419 7.854 Å, 90.00 90.00 90.00°
Atoms (fractional coordinates):
Zn1 0.074 0.224 0.000
Zn2 0.426 0.224 0.500
Zn3 0.574 0.776 0.000
Zn4 0.926 0.776 0.500
H1 0.074 0.534 0.409
H2 0.198 0.517 0.390
H3 0.203 0.716 0.037
H4 0.250 0.909 0.132
H5 0.250 0.909 0.632
H6 0.297 0.716 0.537
H7 0.302 0.517 0.890
H8 0.426 0.534 0.909
H9 0.574 0.466 0.409
H10 0.698 0.483 0.390
H11 0.703 0.284 0.037
H12 0.750 0.091 0.132
H13 0.750 0.091 0.632
H14 0.797 0.284 0.537
H15 0.802 0.483 0.890
H16 0.926 0.466 0.909
C1 0.077 0.943 0.698
C2 0.151 0.732 0.528
C3 0.349 0.732 0.028
C4 0.423 0.943 0.198
C5 0.577 0.057 0.698
C6 0.651 0.268 0.528
C7 0.849 0.268 0.028
C8 0.923 0.057 0.198
N1 0.070 0.821 0.580
N2 0.079 0.053 0.805
N3 0.140 0.590 0.426
N4 0.238 0.786 0.577
N5 0.262 0.786 0.077
N6 0.360 0.590 0.926
N7 0.421 0.053 0.305
N8 0.430 0.821 0.080
N9 0.570 0.179 0.580
N10 0.579 0.947 0.805
N11 0.640 0.410 0.426
N12 0.738 0.214 0.577
N13 0.762 0.214 0.077
N14 0.860 0.410 0.926
N15 0.921 0.947 0.305
N16 0.930 0.179 0.080
Cl1 0.089 0.512 0.914
Cl2 0.162 0.149 0.227
Cl3 0.338 0.149 0.727
Cl4 0.411 0.512 0.414
Cl5 0.589 0.488 0.914
Cl6 0.662 0.851 0.227
Cl7 0.838 0.851 0.727
Cl8 0.911 0.488 0.414

=====

# 2
For ZnH6C2N2Cl4, the GGA-PBE geometry in the Materials Project gives the simulated powder diffraction line list in this record (Cu Kα (λ = 1.5418 Å)).

Largest 10 diffraction maxima, by angle, 2θ from 10° to 90°:
- - -

There's a reason why Super Monkey Ball got a sequel. It did extraordinarily well on the GameCube, and this essentially acts as a deluxe version of the first game. It even has a story mode, but story mode was effectively a training mode for challenge mode/main mode where you clear levels sequentially and have a limited number of lives. The party games/minigames are also very engaging in this game. I am giving this a perfect score because this may actually be one of the best GameCube games you can get. Although this game might not be in my personal favorites list, or at least not within the top 20 or so, I think it deserves the praise it gets. It's a very simple to understand game but has increasingly difficult stages that require tons of focus and dedication to master.

Not as good as the first game in my opinion but still a solid ass game that I’ve had a lot of fun with over the years. I didn’t like the level design in this one as much as in the first game, and actually find this game to be much harder. This game has really awesome party games though and story mode that makes it shine.

Classic game to play at college parties and kick ass.

There is something timeless about this game. I've played it to absolute death, over and over. I've done some of these levels hundreds of time but there's something about Super Monkey Ball 2 that just keeps bringing me back. It's the perfect blend of smooth, fun platforming and visual appeal. That isn't to say that there aren't bullshit levels (Switch Inferno.), but the core experience of this game is phenomenal, and Super Monkey Ball the series really peaked here.

Next to the text, the page also holds crystal structures
'''
Entry 1:
Diffraction record for Cs2LiTcF6. The powder XRD pattern is computed, not measured: it uses a structure optimized by DFT (GGA-PBE) and copper Kα.
Lines closer than 0.1° are merged.

Peak list (10 most intense, 5 to 70 degrees two-theta, sorted by position)
| two_theta | I (rel.) |
| --- | --- |
| 18.53 | 32 |
| 21.44 | 28 |
| 30.45 | 100 |
| 30.56 | 99 |
| 37.64 | 39 |
| 43.69 | 79 |
| 54.05 | 20 |
| 54.27 | 53 |
| 63.38 | 24 |
| 63.62 | 24 |

Cell: 5.849 5.849 5.865 Å, 119.82 119.82 60.02°
Atoms (fractional coordinates):
Cs  0.250  0.250  0.249
Cs  0.750  0.750  0.751
Li  0.000  0.000  0.500
Tc  0.500  0.500  0.000
F  0.253  0.253  0.752
F  0.253  0.746  0.247
F  0.254  0.747  0.753
F  0.746  0.253  0.247
F  0.747  0.254  0.753
F  0.747  0.747  0.248

=====

Entry 2:
Diffraction record for Cs2LiTcF6. The powder XRD pattern is computed, not measured: it uses a structure optimized by DFT (GGA-PBE) and copper Kα.
Lines closer than 0.1° are merged.

Peak list (10 most intense, 5 to 70 degrees two-theta, sorted by position)
| two_theta | I (rel.) |
| --- | --- |
| 18.56 | 32 |
| 21.40 | 14 |
| 30.44 | 51 |
| 30.59 | 100 |
| 37.63 | 39 |
| 43.59 | 40 |
| 44.01 | 20 |
| 54.19 | 40 |
| 54.46 | 20 |
| 63.67 | 24 |

Cell: 5.846 5.846 5.846 Å, 119.70 119.70 90.52°
Atoms (fractional coordinates):
Cs  0.250  0.750  0.500
Cs  0.750  0.250  0.500
Li  0.000  0.000  0.000
Tc  0.500  0.500  0.000
F  0.252  0.252  0.504
F  0.252  0.748  0.000
F  0.255  0.255  0.000
F  0.745  0.745  0.000
F  0.748  0.252  0.000
F  0.748  0.748  0.496

=====

Entry 3:
Diffraction record for CsLu3F10. The powder XRD pattern is computed, not measured: it uses a structure optimized by DFT (GGA-PBE) and copper Kα.
Lines closer than 0.1° are merged.

Peak list (10 most intense, 5 to 70 degrees two-theta, sorted by position)
| two_theta | I (rel.) |
| --- | --- |
| 21.32 | 31 |
| 25.18 | 46 |
| 26.65 | 100 |
| 31.58 | 27 |
| 34.38 | 20 |
| 41.78 | 18 |
| 46.17 | 16 |
| 47.05 | 31 |
| 51.69 | 33 |
| 65.95 | 18 |

Cell: 7.725 7.725 4.167 Å, 90.03 90.03 60.03°
Atoms (fractional coordinates):
Cs  0.000  0.000  0.000
Lu  0.510  0.510  0.557
Lu  0.510  0.978  0.556
Lu  0.978  0.510  0.556
F  0.002  0.497  0.058
F  0.212  0.573  0.580
F  0.213  0.213  0.578
F  0.330  0.834  0.481
F  0.497  0.002  0.058
F  0.498  0.498  0.059
F  0.573  0.212  0.580
F  0.666  0.666  0.714
F  0.834  0.330  0.481
F  0.834  0.834  0.478

=====

Entry 4:
Diffraction record for Cs2NaPtOF5. The powder XRD pattern is computed, not measured: it uses a structure optimized by DFT (GGA-PBE) and copper Kα.
Lines closer than 0.1° are merged.

Peak list (10 most intense, 5 to 70 degrees two-theta, sorted by position)
| two_theta | I (rel.) |
| --- | --- |
| 17.79 | 55 |
| 29.13 | 50 |
| 29.31 | 100 |
| 34.34 | 17 |
| 41.66 | 34 |
| 42.20 | 16 |
| 51.75 | 41 |
| 52.09 | 20 |
| 60.80 | 21 |
| 68.48 | 19 |

Cell: 6.095 6.095 6.095 Å, 119.60 119.60 90.70°
Atoms (fractional coordinates):
Cs  0.000  0.500  0.500
'''

This is the game that is the most better than it has any right being.

- - -
No. 1
The following is a simulated X-ray diffraction stick pattern of La4Sm5Th. It was derived from a crystal structure in Alexandria, relaxed with GGA-PBE, using Cu Kα (λ = 1.5418 Å).
Peak positions follow from Bragg's law for the DFT cell and can differ from measured ones.

Crystal structure
Unit cell a=19.043 b=3.666 c=10.379 alpha=90.00 beta=105.81 gamma=90.00
Space group C2/m (No. 12)
One atom of each set of equivalent atoms:
La1 0.098 0.000 0.295 [4 per cell]
La2 0.198 0.500 0.101 [4 per cell]
Sm1 0.000 0.500 0.500 [2 per cell]
Sm2 0.097 0.000 0.803 [4 per cell]
Sm3 0.199 0.500 0.598 [4 per cell]
Th1 0.000 0.500 0.000 [2 per cell]

Top 8 peaks for 2θ = 15–90°, low angle first:
- 29.84 deg, 2.994 Å, I 100
- 34.60 deg, 2.593 Å, I 51
- 49.73 deg, 1.833 Å, I 36
- 59.09 deg, 1.563 Å, I 43
- 62.00 deg, 1.497 Å, I 12
- 73.02 deg, 1.296 Å, I 4
- 80.79 deg, 1.190 Å, I 18
- 83.34 deg, 1.160 Å, I 14

---

No. 2
The following is a simulated X-ray diffraction stick pattern of Pr5Hg2Au. It was derived from a crystal structure in Alexandria, relaxed with GGA-PBE, using Cu Kα (λ = 1.5418 Å).
Peak positions follow from Bragg's law for the DFT cell and can differ from measured ones.

Crystal structure
Unit cell a=6.864 b=13.168 c=5.338 alpha=90.00 beta=90.00 gamma=90.00
Space group Pbam (No. 55)
One atom of each set of equivalent atoms:
Pr1 0.000 0.000 0.000 [2 per cell]
Pr2 0.147 0.283 0.000 [4 per cell]
Pr3 0.155 0.606 0.500 [4 per cell]
Hg1 0.113 0.854 0.500 [4 per cell]
Au1 0.000 0.500 0.000 [2 per cell]

Top 8 peaks for 2θ = 15–90°, low angle first:
- 29.36 deg, 3.042 Å, I 26
- 31.73 deg, 2.820 Å, I 88
- 31.94 deg, 2.802 Å, I 100
- 33.13 deg, 2.704 Å, I 27
- 33.58 deg, 2.669 Å, I 59
- 33.91 deg, 2.644 Å, I 27
- 47.91 deg, 1.899 Å, I 24
- 55.90 deg, 1.645 Å, I 21

* * * * *

Record 1
Computed powder X-ray diffraction pattern
Compound: PrNdHg2
Radiation: copper Kα
Structure: a cell relaxed with PBE
Peak positions follow from Bragg's law for the DFT cell and can differ from measured ones.

Crystal structure
```
PrNdHg2
1.0
7.718 0.000 0.000
0.000 7.718 0.000
0.000 0.000 7.718
Pr Nd Hg
4 4 8
Direct
0.000 0.000 0.000
0.000 0.500 0.500
0.500 0.000 0.500
0.500 0.500 0.000
0.000 0.000 0.500
0.000 0.500 0.000
0.500 0.000 0.000
0.500 0.500 0.500
0.250 0.250 0.250
0.250 0.250 0.750
0.250 0.750 0.250
0.250 0.750 0.750
0.750 0.250 0.250
0.750 0.250 0.750
0.750 0.750 0.250
0.750 0.750 0.750
```

Principal peaks in the range 10° ≤ 2θ ≤ 90°, sorted by position:
2θ/deg  d (Å)  Rel. int.
23.0  3.859  3
32.8  2.729  100
47.1  1.930  18
53.1  1.726  2
58.6  1.576  39
68.8  1.364  12
78.4  1.220  17
87.6  1.114  4



Record 2
Computed powder X-ray diffraction pattern
Compound: TiBi2O4F2
Radiation: copper Kα
Structure: a cell relaxed with PBE
Peak positions follow from Bragg's law for the DFT cell and can differ from measured ones.

Crystal structure
```
TiBi2O4F2
1.0
-1.935 1.935 7.825
1.935 -1.935 7.825
1.935 1.935 -7.825
Ti Bi O F
1 2 4 2
Direct
0.000 0.000 0.000
- - -
### So much for the records of crystals

Never gets old. Quintessentially fun.

losing a race of this game against one of my dumbest friends was the hardest loss ive experienced in life even if it made it so he wasn't the ugliest person in the world anymore.

Had so much fun playing this game as a kid, such a unique concept for a game.

Perfectly designed. A game that encourages you to think outside of the box with each level and is infinitely replayable as a result. Also has some of the most charming music, characters, and visuals of the era. I'd recommend playing with an actual GameCube controller if you're able to because the notches on the analog stick help out tremendously.

I think the level design here isn't quite as good as in the first game, but this has so much more content that I couldn't possibly score it lower.

Creative platformer where you control the map instead of the character to reach goals. Tight controls and great soundtrack.

While the story mode may have some bad gimmicky stages, it is still very fun and challenging. The mini-games make up for any shortcomings as monkey bowling, target and billiards are GOATED for real. Amazing music as well. Last good monkey ball game

Takes everything the first game did and does more with it. More levels with more difficulty, more party games to play with the homies, a story mode that while a bit nonsensical is quite entertaining, this game has it all. The visuals and soundtrack are absolutely off the charts here fr fr. Absolute must play on the nintendo gamecube

Nearly perfectly executed sequel in every way. There's not a single flaw I could find that could bring this game down lower than a 10/10. Levels feel more focused and fun to run through, the added party games are a great side dish to the main game, and the story mode makes for a great introduction to the difficulty of the main game with infinite tries. Oh yeah, there's also WIDESCREEN SETTINGS?? You SHOULD play this game whenever you get the chance to. This is peak SEGA & Amusement Vision right there. (psst, also play F-Zero GX...)

craziest SMT game I've played

One of the GameCube's best and most unlikely hits, Super Monkey Ball 2 has great single-player levels and supremely entertaining multiplayer modes.

i feel like this one had worse multiplayer and better single player than the first.